Lingnan Videos - Lectures & Seminars is the archive of scholarly presentations organized by Lingnan University, including public seminar, public lecture, inaugural lecture, university assembly, etc.
Public Seminars
Neighbourhood cohesion and urban life in the city of the future: Shenzhen | Cities and Governance Webinar Series 2021 | Ka Ho MOK
Navigating global regimes of mobility : the onward mobility of African international students in China | Sociology Seminar Series 2021-2022 | Benjamin MULVEY
Social housing in Hong Kong: From social movement to “new” housing policy? | Cities and Governance Webinar Series 2021 | Charles HO
Photo Exhibition "Recognize Our Uniqueness" Kick-off Ceremony cum Seminar cum Book Launch of "Ethnic Minorities, Media and Participation in Hong Kong: Creative and Tactical Belonging" | Equal Opportunities Awareness Campaign 2021 | Aggie LAM; Yuk Ming, Lisa LEUNG (梁旭明); Fariha Salma Deiya BAKAR; Devi NOVIANTI; Danny K.; Robby; Vivek MAHBUBANI; and Tse Shang, Denise TANG (鄧芝珊)
Empirical research on urban governance | Cities and Governance Webinar Series 2021 | Nuno F. da CRUZ
Housing as an intergenerational project | Maggie Ka Wai LAU, Ngai Ming YIP, Richard RONALD, and William LI
Governance convergence and accounting harmonization | Business Distinguished Scholar Seminar Series | Inder K. KHURANA
Disentangling the effects of experience-based faultlines in e-Sports teams: An empirical analysis using auto-regressive integrated moving average modelling | Business Distinguished Scholar Seminar Series | Chee-Wee TAN
Rethinking salt supply chains: Cost and emissions analysis for co-production of salt and freshwater from U.S. seawater | Business Distinguished Scholar Seminar Series | Greys SOSIC
Practical initiative: Why proactive personality and behavior matter at work | Business Distinguished Scholar Seminar Series | Mike CRANT
Life during the 1st national lockdown in the UK | Sociology Seminar Series 2020-2021 | Tarani CHANDOLA
The Post-COVID-19 World : Autocracies, Democracies and the New World Order | Shalendra SHARMA
How much pushback after backsliding? Opposition to autocratization in Southeast Asia | Sociology Seminar Series 2020-2021 | Mark R. THOMPSON
把蘇軾的《和陶詩》放置於他在海南島的其他著作中閱讀 | 中國詩學論壇網路學術系列講座 (3) | Ronald EGAN (艾朗諾), Gang ZHU (朱剛), and Zong-qi CAI (蔡宗齊)
Asymmetry in Earnings Management Surrounding Targeted Ratings | David L. ECKLES
Digital punishment : privacy, stigma, and the consequences of data-driven criminal justice | Sociology Seminar Series 2020-2021 | Sarah Esther LAGESON
The National Security Argument for Protection of Domestic Industries | Leonard K CHENG
Upstream collusion with down stream compensation | Department of Economics : Departmental Seminars | Zhiyong YAO
Consumer vulnerability and behavioral biases | Department of Economics : Departmental Seminars | Zenan WU
以陳子昂為中心:從六朝「文義」到隋唐「經史」看唐初詩學之發展走向 | 中國詩學論壇網路學術系列講座 (2) | Chunhong WANG (汪春泓), Zunju LIU (劉尊舉), and Zili MA (馬自力)
Economic aspects of the COVID-19 pandemic for higher education institutions | Global Higher Education Webinar Series : COVID-19 and Global Higher Education | Iris LORSCHEID
Are Japanese universities ready to embrace online learning? Micro-, meso- and macro-levels of analysis | Global Higher Education Webinar Series : COVID-19 and Global Higher Education | Insung JUNG
University education under COVID-19 : what to do beyond online classes? | Global Higher Education Webinar Series : COVID-19 and Global Higher Education | Leonard CHENG
中國早期書寫型態及其文化功能 | 中國詩學論壇網路學術系列講座 (1) | Minli ZHAO (趙敏俐), Daobin FU (傅道彬), and Zong-qi CAI (蔡宗齊)
Designing higher education : big deal partnerships, technologies and capabilities | Global Higher Education Webinar Series : COVID-19 and Global Higher Education | Hamish COATES
What comes next are molecular data, not part of the article:
____________
Entry 1:
Below is a 11-piece molecular cluster, C35H78N12O13P overall, with properties calculated with the ωB97M-V functional and the def2-TZVPD basis.

Calculated values
- Highest occupied orbital energy: -10.263 eV
- Charge: +1
- Calculated total energy: -3356.83178 Ha

Each line ends with the Mulliken charge.
Positions of all 139 atoms, in Å:
P  -2.31448  0.98133  0.08977  1.05
O  1.48991  2.70164  -3.85385  -0.66
O  -1.89329  0.33392  -1.28695  -0.39
O  -10.07469  -5.49197  -4.79797  -0.59
O  3.79054  6.27373  4.39375  -0.56
O  -1.82278  9.24885  2.83287  -0.55
O  -4.28974  -2.12658  -3.09816  -0.65
O  6.97538  2.83462  3.47206  -0.70
O  1.59516  -7.15578  -1.54614  -0.64
O  -1.70997  0.26335  1.20377  -0.65
O  4.27282  1.95922  1.43619  -0.57
O  -5.98590  -6.73934  0.68497  -0.60
O  4.10341  -5.17143  1.84475  -0.59
O  -3.91351  1.01449  0.22519  -0.52
N  2.58897  -8.89500  -2.61714  0.12
N  7.10703  4.90125  2.54804  0.15
N  -4.92475  -3.24224  -1.22620  0.47
N  -2.55207  3.75297  0.57689  0.09
N  1.75160  6.63853  3.47301  0.28
N  4.36912  -0.12489  2.34327  0.14
N  1.89852  -4.87480  1.35601  0.31
N  -5.02198  -8.66422  1.40445  0.11
N  -7.96219  -4.65828  -4.80708  0.15
N  -1.65924  11.35048  1.98423  0.10
N  -0.62168  4.57055  0.03810  0.13
N  3.59080  3.57103  -3.91460  0.08
C  0.53394  -4.81405  1.83700  -1.01
C  6.53730  3.96391  3.32200  0.03
C  -2.21276  10.40393  2.75602  0.10
C  1.56230  -8.93305  -3.64567  -0.93
C  -2.17286  12.70904  1.94069  -0.91
C  -3.80666  -7.97783  1.81082  -0.88
C  8.32497  4.56639  1.82975  -0.95
C  4.84724  1.10587  2.10774  0.11
C  -5.12005  -10.10015  1.59412  -0.92
C  2.49352  3.11736  -3.29579  0.78
C  2.81378  6.97818  4.22740  0.07
C  3.62130  3.58147  -5.37010  -0.97
C  3.08642  -0.51118  1.78139  -0.81
C  2.93638  -5.10604  2.18170  0.05
C  2.15528  -4.68365  -0.06392  -0.86
C  -4.25340  -3.11440  -2.37502  -0.08
C  -5.77336  -2.14199  -0.81086  -0.78
C  -6.01843  -7.94651  0.86549  0.11
C  6.54346  6.22967  2.41099  -0.62
C  1.65294  2.11282  0.00109  -0.53
C  -0.50891  11.00417  1.16724  -0.84
C  -1.82595  4.85604  0.49913  -0.50
C  -1.74560  2.69474  0.14707  -0.08
C  1.75268  5.34891  2.81225  -0.76
C  5.09515  -1.09156  3.14790  -0.91
C  0.60121  7.50599  3.29003  -0.93
C  -9.08221  -5.11281  -4.21076  0.11
C  0.61234  2.48081  -0.72900  -0.95
C  -0.53999  3.19848  -0.19495  0.02
C  4.74727  4.04889  -3.17753  -0.88
C  -7.91645  -4.61011  -6.25880  -0.97
C  2.49118  -7.97780  -1.64236  0.19
C  3.68428  -9.84517  -2.67509  -0.91
C  -6.80870  -4.21855  -4.04786  -0.76
C  -4.83189  -4.43292  -0.38504  -1.14
H  1.83152  4.54825  3.54864  0.32
H  5.62022  4.31176  3.82374  0.43
H  1.72804  2.21543  1.07280  0.31
H  -6.53984  -1.95829  -1.56546  0.31
H  -7.00202  -4.31862  -2.98078  0.06
H  4.23587  -9.71945  -3.60833  0.34
H  -4.29259  1.70988  -0.33247  0.31
H  2.60715  5.27703  2.13527  0.33
H  -6.08382  -10.46073  1.24255  0.29
H  -4.32895  -10.60292  1.03539  0.34
____________
The COVID-19 crisis in Australian higher education | Global Higher Education Webinar Series : COVID-19 and Global Higher Education | Anthony WELCH
The world is changing : higher education and the COVID-19 pandemic | Global Higher Education Webinar Series : COVID-19 and Global Higher Education | Simon MARGINSON
曹聚仁在五十年代香港文學中的位置 | The City-wide Activities of Hong Kong Library Festival 2019 at Lingnan University Library | Cheuk-yin, Alex TSANG (曾卓然)
「電影朝聖」講座 | The City-wide Activities of Hong Kong Library Festival 2019 at Lingnan University Library | Gary WONG (王冠豪)
Improvising space : a symposium on creativity, pedagogy, and music improvisation | Bani HAYKAL, Kimho IP, Tusa MONTES, and Michael SCHIEFEL
The state of press freedom in Hong Kong and around the globe | Michael LUONGO, Ilaria Maria SALA, Chris YEUNG, Emily LAU, Harvey SERNOVITZ, and Cedric ALVIANI
The tortuous path of digital history in the Chinese humanities | Lik Hang, Lincoln TSUI (徐力恆)
Book talk : Revolutionary bodies : Chinese dance and the socialist legacy | Emily WILCOX
不可能的可能 : 博物館超越時空的另類體驗 | Art History and Curating Seminar Series | Feng Ying KENG (耿鳳英)
Marketing and merchandising treasures in the museum-land | Art History and Curating Seminar Series | Shin-Chieh TZENG
超越哀傷與絕望 | 喪親心靈關顧培訓工作坊 | Thomas KWAN Rev. (關俊棠)
‘Follow the Practice’ : Tracing Formations of Culture & Knowledge in Asia : Day 2 : Roundtable | Two-day Workshop : ‘Follow the Practice’ : Tracing Formations of Culture & Knowledge in Asia | Tzu Nyen HO, Ashish RAJADHYAKSHA, Samita SEN, Tejaswini NIRANJANA, Anjeline DE DIOS, and Roberto CASTILLO
‘Follow the Practice’ : Tracing Formations of Culture & Knowledge in Asia : Day 1 : Research presentations | Two-day Workshop : ‘Follow the Practice’ : Tracing Formations of Culture & Knowledge in Asia | Samita SEN, Tejaswini NIRANJANA, Anjeline DE DIOS, and Chunmei DU
Disinformation overload : ‘truthing it’ in algorithmic networks | Lingnan University 50th Anniversary Lecture Series (2017-2018) | Nishant SHAH and Tse Shang, Denise TANG
What have we learnt about UK poverty research over the past years? | Policy Studies and Management Seminar Series 2019 | Dave GORDON
Performance Studies x Cultural Studies Colloquium : Cultures in Motion, Performance in Transit | Hyunjung LEE; Paul RAE; Chiayi SEETOO; Tejaswini NIRANJANA; Anjeline DE DIOS; Ching Kiu, Stephen CHAN; and Soo Ryon YOON
Research smarter with Web of Science and Journal Citation Index | Postgraduate Study Seminar Series | Maggie LAM
Promoting healthy ageing : multi-sectoral collaboration | Policy Studies and Management Seminar Series 2019 | Ching Choi LAM
Economic globalization, skill formation and development | Policy Studies and Management Seminar Series 2019 | Hugh LAUDER
Meeting Popes, presidents and princesses : a cross-continental life of writing, glamour and adventure | Michael T. LUONGO
Service-learning showcase cum seminar campus farming and community building at Lingnan | 嶺南彩園分享會 | Lai Seung, Marine AU YEUNG; Kin Chi LAU; Chloe SIU; Joy LAM; and Jensen HO
喪親之痛與療癒 | 喪親心靈關顧培訓工作坊 | Fong, Agnes TIN (田芳)
不能迴避的現實 : 回顧任局長五年的房屋政策 | Policy Studies and Management Seminar Series | Anthony CHEUNG (張炳良)
The non-other and its discontents | Xin WANG
The convergence of Christianity and the Chinese Revolution in 1950s Hong Kong | Brian TSUI
What is curating? | Art History and Curating Seminar Series | Charlotte DE MILLE
Music in museums : curatorial highlights from the Courtauld Gallery | Art History and Curating Seminar Series | Charlotte DE MILLE
On listening | Haytham EL-WARDANY
Internationalisation policies in the UK and China in comparative perspective : alignments and dislocations in international higher education | Policy Studies and Management Seminar Series | Catherine MONTGOMERY
Globalization of audit culture in higher education : Asia Pacific perspective | Policy Studies and Management Seminar Series | Anthony WELCH
Chinese wartime science through the lens of Joseph Needham exhibition : opening ceremony and public talk | Kwok Hon, Leonard CHENG; Peter LEE; and Mei Chun, Louisa LAM
House buying as hope mechanism : the culture of homeownership in Hong Kong | Chung Kin TSANG
Performing protests : performance as tactics of resistance in post-handover Hong Kong = 展演抗爭 : 九七後香港的示威戲碼 | Yau WEN (魂游)
Reflections on Inter-Asia as method | Beng Huat CHUA
Opening Ceremony cum Sharing Session of Hong Kong Market Cats Photography Exhibition | Marcel HEIJNEN
Hong Kong's ghosts : the politics of disappearance = 香港的魅影 : 消失的政治 | The performing archive : deep archival engagement as artistic practice = 演繹檔案庫 : 從解讀檔案到藝術實踐工作坊 | Ching Kiu, Stephen CHAN; Yan Wai, Connie LO; Simon CHU; and Shuk Man LEUNG
Masterclass : Ackbar Abbas = 大師班:記錄香港文化 | The performing archive : deep archival engagement as artistic practice = 演繹檔案庫 : 從解讀檔案到藝術實踐工作坊 | Ackbar ABBAS
香港國際藏書票大展2018預展開幕典禮暨分享會 = Opening Ceremony and seminar of Pre-Show of HK INT'L Ex-Libris SHOW 2018 | Rachel CHENG (鄭瑞瓊), John YU (餘元康), Sarah NG (吳秀華), Samuel WONG (黃恩約), and Malou HUNG (熊愛儀)
Posthumous socialism | Ackbar ABBAS
Ventriloquizing archives = 檔案庫的腹語術與何子彦對談 | The performing archive : deep archival engagement as artistic practice = 演繹檔案庫 : 從解讀檔案到藝術實踐工作坊 | Tzu Nyen HO, Ashish RAJADHYAKSHA, and Dai Vo CHUONG
死生一線間 : 如何學會放下? | 哲學系「生死學」課程公開講座 | 淨蓮法師
星輝曜彩 : 蕭暉榮七十藝術人生講座 = Talk by Professor Siu Fai Wing | Fai Wing SIU (蕭暉榮)
Locating the transnational : gender and neoliberalism in the Kerala model of development | Ritty LUKOSE
蕭暉榮教授藝術展開幕禮 = Opening of Art Exhibition of Professor Siu Fai Wing | Kwok Hon, Leonard CHENG (鄭國漢) and Fai Wing SIU (蕭暉榮)
向臨終病人學習 | 哲學系「生死學」課程公開講座 | Chun Fong LIU (廖進芳)
Postgraduate studies seminar : research and mrthodological issues : dialogue with experienced researcher | Inter-University Research Consortium for Higher Education Research | Deane NEUBAUER and Jiwei QIAN
命運與抉擇 | 哲學系「生命中的必然與偶然」課程公開講座 | Ying Choi LEE (李英才)
Watercolor demonstration by Atanur Dogan | ILP Visual Arts Programme | Atanur DOGAN
Talk on intellectual property rights enforcement | Y. T. LAM
International Workshop on Globalization, Education and Social Futures cum postgraduate student sharing session | Susan ROBERTSON; Roger DALE; Ka Ho, Joshua MOK; Xiandong WEI; Beste Esra BURAK HO; Ho Lun, Alex WONG; Jin JIANG; Mulun, Alfred WU; and Zhuoyi, Vincent WEN
人生考察路之〈極地考察〉傳奇 | Lok Sze, Rebecca LEE
Resonating with creative minds : a retrospective of the artist-in-residence programme at Lingnan University 2006-2015 : panel discussion | Resonating with Creative Minds: A Retrospective of the Artist-in-Residence Programme at Lingnan University 2006-2015 = 藝想奏鳴: 嶺大「駐校藝術家計劃」十年回顧展 | Mette HJORT
從鬼門關走回來 : 對瀕死經歷的體悟 | 哲學系生死學公開講座 | Kaiyong LAI and Weidong HUANG
The magic of ballpoint pen art : exhibition opening | “The Magic of Ballpoint Pen Art” exhibition | Dipendra RAI
Opening talk of "Creativity movement space" exhibition | Lingnan Arts Festival 2015 | Francesco LIETTI, Him LO, Wen YAU, Birdy CHU, and Edward TSE
精彩人生路 | 哲學系「生命中的必然與偶然」課程公開講座 | Christine LEUNG
民主的再反思 : (影片1) 民主的多重意義 | Lok Sang HO (何濼生)
民主的再反思 : (影片2) 多黨政治和權力制衡 | Lok Sang HO (何濼生)
民主的再反思 : (影片3) 公義為何 | Lok Sang HO (何濼生)
民主的再反思 : (影片4) 香港社會問題跟民府未民選無關 | Lok Sang HO (何濼生)
民主的再反思 : (影片5) 民主文化與三權分立的制度 | Lok Sang HO (何濼生)
民主的再反思 : (影片6) 香港特首該怎樣選 | Lok Sang HO (何濼生)
香港現代水墨淺談 = Seminar on modern ink painting | Brenda HONG
看不見的生命 : 香港越南船民史 = The invisible citizens of Hong Kong : art and stories of Vietnamese boatpeople | 香港貿易發展局「文化七月,悅讀夏季」活動 | Suk Mun, Sophia LAW (羅淑敏)
從紅燈籠到黃雀記 = From Raise the Red Lantern to The Oriole | 嶺南大學「駐校作家計劃」 | Tong SU (蘇童)
從小孩及長者的故事認識死亡 | 哲學系生死學公開講座 | Yee Mei, Maggie CHAU
許鞍華與她的香港 = Ann Hui and her Hong Kong | 嶺南大學藝術節2014 | Ann HUI (許鞍華) and Shuk-han, Mary WONG (黃淑嫻)
Myanmar Perspectives : 50 Paintings from a Changing Country : film show & panel discussion = 「探索藝術:透視蛻變中的緬甸」展覽 : 電影欣賞及研討會 | Myanmar Perspectives : 50 Paintings from a Changing Country | Ian HOLLIDAY
《飛越來生緣》 : 一念天堂、一念地獄? | 嶺南大學實踐哲學文學碩士課程及三聯書店‧創BOOKCAFE合辦【光影中的哲學系列】 | Wai Ying WONG
臨終者對我們的啟示 | Kin Chuen, Vincent TSE (謝建泉)
一九五零年代的香港攝影 | 一九五零年代的香港文學與文化講座系列 | Wo Bik WONG (王禾璧) and Sylvia NG (伍小儀)
如何走過哀慟之路 | Wai Ying WONG (黃慧英)
訪談的心法 | Yee Mei, Maggie CHAU
<<<
Entry 1:
44
Properties=species:S:1:pos:R:3:mulliken_charge:R:1 method="wB97M-V/def2-TZVPD" multiplicity=4 e_above_lowest_kcal_mol=0.00 s_squared=3.781 molar_mass_g_mol=509.56 homo_lumo_gap_ev="5.18 / 6.72" e_tot_ev=-123195.470
C 2.581 -2.463 -0.576 -0.544
C 1.968 -3.621 0.245 -1.036
H 1.943 -2.188 -1.412 0.198
H 3.554 -2.746 -0.978 0.452
H 2.748 -1.585 0.033 -0.038
H 1.018 -3.937 -0.165 0.284
H 2.618 -4.499 0.213 0.345
H 1.815 -3.400 1.309 0.380
C 0.613 1.373 -2.133 -0.083
C 0.202 2.177 -3.196 -0.749
C -1.155 2.384 -3.445 -0.528
C -2.085 1.755 -2.626 -0.606
H 1.669 1.194 -1.924 0.431
H 0.960 2.621 -3.836 0.388
H -1.496 3.030 -4.253 0.424
H -3.157 1.873 -2.742 0.316
N -0.308 0.798 -1.314 0.287
C -1.647 0.958 -1.568 0.844
C -2.517 0.331 -0.585 0.339
N -1.854 -0.291 0.443 0.427
C -2.579 -0.636 1.534 0.019
C -4.642 0.022 0.507 -0.506
C -3.965 -0.572 1.564 -0.859
H -2.022 -0.973 2.403 0.468
H -4.481 -0.981 2.427 0.394
C -3.911 0.495 -0.580 -0.821
H -4.378 1.026 -1.408 0.324
H -5.718 0.131 0.527 0.437
Co 0.128 -0.105 0.357 -0.634
C 0.220 -1.462 1.635 -0.630
H -0.614 -2.093 1.960 0.588
H 0.838 -1.239 2.510 0.431
H 0.788 -2.068 0.920 -0.753
Cl 3.383 0.668 0.156 -0.216
C 2.432 1.613 1.235 1.190
C 1.053 1.420 1.286 -1.397
C 0.301 2.415 1.913 1.207
Cl -1.429 2.423 1.747 -0.176
C 0.895 3.490 2.617 -0.278
Cl -0.089 4.704 3.317 -0.195
C 2.304 3.576 2.678 0.433
Cl 3.028 4.837 3.555 -0.193
C 3.082 2.635 1.970 -0.165
Cl 4.779 2.769 1.974 -0.199

---

Entry 2:
102
Properties=species:S:1:pos:R:3:mulliken_charge:R:1 method="wB97M-V/def2-TZVPD" multiplicity=2 s_squared=0.757 molar_mass_g_mol=1045.85 homo_lumo_gap_ev="7.13 / 3.99" total_charge=+2 e_tot_ev=-93076.344
Ru 0.930 0.475 0.122 1.431
C -0.100 0.788 4.410 -0.498
C 1.104 0.796 5.115 -0.968
C 2.260 0.779 4.389 -0.740
C 2.242 0.734 2.973 -0.216
N 1.060 0.721 2.286 1.002
C -0.053 0.759 3.042 -0.514
N 3.462 0.700 2.406 -0.264
C 3.777 0.551 1.167 -0.809
N 2.929 0.366 0.098 1.405
C 3.711 0.185 -1.020 -1.059
N 3.324 -0.004 -2.233 -0.191
C 2.089 0.050 -2.764 -0.714
C 2.066 -0.069 -4.177 -0.673
C 0.903 0.057 -4.880 -1.169
C -0.270 0.279 -4.156 -0.433
C -0.191 0.355 -2.791 -2.017
N 0.935 0.256 -2.058 2.369
C 5.117 0.270 -0.659 0.262
C 6.277 0.160 -1.407 -0.379
C 7.485 0.272 -0.737 -0.747
C 7.528 0.501 0.640 -0.754
C 6.366 0.632 1.384 -0.209
C 5.159 0.508 0.715 0.288
H -1.052 0.801 4.920 0.380
H 1.115 0.816 6.196 0.440
H 3.238 0.790 4.847 0.603
H -0.989 0.759 2.507 -0.554
H 3.022 -0.237 -4.649 0.644
H 0.886 -0.008 -5.960 0.454
H -1.225 0.375 -4.650 0.486
H -1.112 0.516 -2.248 0.440
H 6.231 -0.012 -2.474 0.580
H 8.416 0.174 -1.278 0.453
H 8.488 0.571 1.132 0.449
H 6.396 0.825 2.447 0.575
N 1.616 4.972 -0.283 -0.322
C 1.679 3.685 -0.601 0.742
O 0.855 2.871 -0.154 -0.459
C 2.778 3.206 -1.519 -0.806
I 3.737 4.680 -2.742 0.188
H 0.930 5.295 0.380 0.278
H 2.255 5.646 -0.675 0.100
H 2.377 2.453 -2.189 -0.060
H 3.561 2.744 -0.919 0.343
C -5.609 0.779 2.134 -1.059
Si -3.744 0.772 2.334 0.577
C -3.201 -0.799 3.224 -1.016
>>>
End of the records of molecules:
旗袍與香港生活 | 一九五零年代香港文學與文化講座系列 | Amy WONG